-- To do --
What is needed: write out the whole of the notes further down word for word.
-- Data --
Calculated X-ray powder pattern
Compound: Li3Mn4P6O24
Radiation: a wavelength of 1.5418 Å
Structure: DFT lattice parameters and positions (GGA+U)
Peak positions follow from Bragg's law for the DFT cell and can differ from measured ones.

Crystal structure
```
data_Li3Mn4P6O24
_space_group_name_H-M_alt 'C 1 2 1'
_space_group_IT_number 5
_space_group_name_Hall 'C 2y'
_cell_length_a 11.7391
_cell_length_b 12.8963
_cell_length_c 6.2386
_cell_angle_alpha 90.00
_cell_angle_beta 112.88
_cell_angle_gamma 90.00
loop_
_atom_site_label
_atom_site_fract_x
_atom_site_fract_y
_atom_site_fract_z
Li1 0.0000 0.0000 0.0000
Li2 0.0185 0.4807 0.7441
Mn1 0.2169 0.8448 0.8799
Mn2 0.2195 0.1587 0.3858
P1 0.0000 0.2758 0.0000
P2 0.0000 0.7254 0.5000
P3 0.2467 0.0947 0.8974
P4 0.2467 0.9081 0.3868
O1 0.0495 0.7944 0.7220
O2 0.0502 0.2063 0.2208
O3 0.0986 0.3507 0.9735
O4 0.0993 0.6515 0.4749
O5 0.1205 0.4400 0.5482
O6 0.1219 0.5573 0.0303
O7 0.1585 0.0003 0.8676
O8 0.1606 0.0049 0.3399
O9 0.1920 0.8397 0.1638
O10 0.1972 0.1601 0.6712
O11 0.2327 0.1721 0.0834
O12 0.2325 0.8357 0.5792
```

Peak list (10 most intense, 10 to 90 degrees two-theta, by angle)
- 13.73°, I 16.7, (0 2 0)
- 15.93°, I 42.3, (1 1 -1)
- 16.39°, I 100.0, (2 0 0)
- 25.26°, I 21.6, (1 3 -1)
- 29.71°, I 44.4, (1 1 -2)
- 31.82°, I 29.7, (0 4 1)
- 32.15°, I 15.2, (3 1 -2)
- 32.34°, I 43.8, (2 4 0)
- 36.01°, I 13.3, (4 2 0)
- 42.38°, I 12.8, (5 1 0)

=====

The following is a calculated powder X-ray diffraction pattern of Y2Ho2CBr3Cl2. It was derived from DFT lattice parameters and positions (PBE), using copper Kα.

Largest 6 diffraction maxima, by angle, 2θ from 10° to 90°:
2θ = 11.15°, I 53.1, hkl 0 0 1; 2θ = 21.67°, I 33.2, hkl 4 0 -1; 2θ = 29.31°, I 25.9, hkl 3 1 -1; 2θ = 32.07°, I 78.9, hkl 6 0 0; 2θ = 32.29°, I 100.0, hkl 1 1 -2; 2θ = 46.38°, I 25.3, hkl 7 1 -2

Crystal structure
Cell lengths 17.167, 3.784, 8.147 Å; angles 90.00, 103.04, 90.00 degrees
Space group C2/m (No. 12)
Inequivalent atoms, fractional coordinates:
Y  0.002  0.000  0.299 [4 per cell]
Ho  0.142  0.500  0.571 [4 per cell]
C  0.000  0.500  0.500 [2 per cell]
Br  0.000  0.500  0.000 [2 per cell]
Br  0.169  0.000  0.836 [4 per cell]
Cl  0.172  0.000  0.349 [4 per cell]

***

The following is a calculated powder X-ray diffraction pattern of Tb5Sn4. It was derived from DFT lattice parameters and positions (PBE), using copper Kα.

Largest 6 diffraction maxima, by angle, 2θ from 10° to 90°:
2θ = 29.96°, I 100.0, hkl 1 3 2; 2θ = 30.15°, I 55.7, hkl 2 3 1; 2θ = 31.79°, I 40.0, hkl 0 4 2; 2θ = 33.89°, I 53.2, hkl 2 4 1; 2θ = 34.71°, I 31.3, hkl 0 6 0; 2θ = 35.16°, I 99.4, hkl 3 0 1

Crystal structure
Cell lengths 8.066, 15.506, 8.190 Å; angles 90.00, 90.00, 90.00 degrees
Space group Pnma (No. 62)
Inequivalent atoms, fractional coordinates:
Tb  0.021  0.098  0.179 [8 per cell]
Tb  0.132  0.622  0.338 [8 per cell]
Tb  0.199  0.250  0.503 [4 per cell]
Sn  0.065  0.250  0.883 [4 per cell]
Sn  0.170  0.750  0.647 [4 per cell]
Sn  0.208  0.042  0.536 [8 per cell]

***

The following is a calculated powder X-ray diffraction pattern of GdAgSnSeS2. It was derived from DFT lattice parameters and positions (PBE), using copper Kα.

Largest 6 diffraction maxima, by angle, 2θ from 10° to 90°:
2θ = 13.20°, I 41.3, hkl 0 2 0; 2θ = 28.68°, I 27.3, hkl 1 1 2; 2θ = 31.16°, I 61.2, hkl 1 3 1; 2θ = 33.60°, I 41.8, hkl 0 0 4; 2θ = 34.46°, I 100.0, hkl 1 3 2; 2θ = 45.37°, I 22.8, hkl 2 0 0

Crystal structure
Cell lengths 3.998, 13.415, 10.671 Å; angles 90.00, 90.00, 90.00 degrees
Space group Cmcm (No. 63)
Inequivalent atoms, fractional coordinates:
Gd  0.000  0.000  0.000 [4 per cell]
Ag  0.000  0.471  0.250 [4 per cell]
Sn  0.000  0.231  0.750 [4 per cell]
Se  0.000  0.104  0.250 [4 per cell]
S  0.000  0.362  0.060 [8 per cell]

***

The following is a calculated powder X-ray diffraction pattern of Sc2NbFe. It was derived from DFT lattice parameters and positions (PBE), using copper Kα.
-- Done --
Calculated X-ray powder pattern
Compound: Li3Mn4P6O24
Radiation: a wavelength of 1.5418 Å
Structure: DFT lattice parameters and positions (GGA+U)
Peak positions follow from Bragg's law for the DFT cell and can differ from measured ones.

Crystal structure
```
data_Li3Mn4P6O24
_space_group_name_H-M_alt 'C 1 2 1'
_space_group_IT_number 5
_space_group_name_Hall 'C 2y'
_cell_length_a 11.7391
_cell_length_b 12.8963
_cell_length_c 6.2386
_cell_angle_alpha 90.00
_cell_angle_beta 112.88
_cell_angle_gamma 90.00
loop_
_atom_site_label
_atom_site_fract_x
_atom_site_fract_y
_atom_site_fract_z
Li1 0.0000 0.0000 0.0000
Li2 0.0185 0.4807 0.7441
Mn1 0.2169 0.8448 0.8799
Mn2 0.2195 0.1587 0.3858
P1 0.0000 0.2758 0.0000
P2 0.0000 0.7254 0.5000
P3 0.2467 0.0947 0.8974
P4 0.2467 0.9081 0.3868
O1 0.0495 0.7944 0.7220
O2 0.0502 0.2063 0.2208
O3 0.0986 0.3507 0.9735
O4 0.0993 0.6515 0.4749
O5 0.1205 0.4400 0.5482
O6 0.1219 0.5573 0.0303
O7 0.1585 0.0003 0.8676
O8 0.1606 0.0049 0.3399
O9 0.1920 0.8397 0.1638
O10 0.1972 0.1601 0.6712
O11 0.2327 0.1721 0.0834
O12 0.2325 0.8357 0.5792
```

Peak list (10 most intense, 10 to 90 degrees two-theta, by angle)
- 13.73°, I 16.7, (0 2 0)
- 15.93°, I 42.3, (1 1 -1)
- 16.39°, I 100.0, (2 0 0)
- 25.26°, I 21.6, (1 3 -1)
- 29.71°, I 44.4, (1 1 -2)
- 31.82°, I 29.7, (0 4 1)
- 32.15°, I 15.2, (3 1 -2)
- 32.34°, I 43.8, (2 4 0)
- 36.01°, I 13.3, (4 2 0)
- 42.38°, I 12.8, (5 1 0)

=====

The following is a calculated powder X-ray diffraction pattern of Y2Ho2CBr3Cl2. It was derived from DFT lattice parameters and positions (PBE), using copper Kα.

Largest 6 diffraction maxima, by angle, 2θ from 10° to 90°:
2θ = 11.15°, I 53.1, hkl 0 0 1; 2θ = 21.67°, I 33.2, hkl 4 0 -1; 2θ = 29.31°, I 25.9, hkl 3 1 -1; 2θ = 32.07°, I 78.9, hkl 6 0 0; 2θ = 32.29°, I 100.0, hkl 1 1 -2; 2θ = 46.38°, I 25.3, hkl 7 1 -2

Crystal structure
Cell lengths 17.167, 3.784, 8.147 Å; angles 90.00, 103.04, 90.00 degrees
Space group C2/m (No. 12)
Inequivalent atoms, fractional coordinates:
Y  0.002  0.000  0.299 [4 per cell]
Ho  0.142  0.500  0.571 [4 per cell]
C  0.000  0.500  0.500 [2 per cell]
Br  0.000  0.500  0.000 [2 per cell]
Br  0.169  0.000  0.836 [4 per cell]
Cl  0.172  0.000  0.349 [4 per cell]

***

The following is a calculated powder X-ray diffraction pattern of Tb5Sn4. It was derived from DFT lattice parameters and positions (PBE), using copper Kα.

Largest 6 diffraction maxima, by angle, 2θ from 10° to 90°:
2θ = 29.96°, I 100.0, hkl 1 3 2; 2θ = 30.15°, I 55.7, hkl 2 3 1; 2θ = 31.79°, I 40.0, hkl 0 4 2; 2θ = 33.89°, I 53.2, hkl 2 4 1; 2θ = 34.71°, I 31.3, hkl 0 6 0; 2θ = 35.16°, I 99.4, hkl 3 0 1

Crystal structure
Cell lengths 8.066, 15.506, 8.190 Å; angles 90.00, 90.00, 90.00 degrees
Space group Pnma (No. 62)
Inequivalent atoms, fractional coordinates:
Tb  0.021  0.098  0.179 [8 per cell]
Tb  0.132  0.622  0.338 [8 per cell]
Tb  0.199  0.250  0.503 [4 per cell]
Sn  0.065  0.250  0.883 [4 per cell]
Sn  0.170  0.750  0.647 [4 per cell]
Sn  0.208  0.042  0.536 [8 per cell]

***

The following is a calculated powder X-ray diffraction pattern of GdAgSnSeS2. It was derived from DFT lattice parameters and positions (PBE), using copper Kα.

Largest 6 diffraction maxima, by angle, 2θ from 10° to 90°:
2θ = 13.20°, I 41.3, hkl 0 2 0; 2θ = 28.68°, I 27.3, hkl 1 1 2; 2θ = 31.16°, I 61.2, hkl 1 3 1; 2θ = 33.60°, I 41.8, hkl 0 0 4; 2θ = 34.46°, I 100.0, hkl 1 3 2; 2θ = 45.37°, I 22.8, hkl 2 0 0

Crystal structure
Cell lengths 3.998, 13.415, 10.671 Å; angles 90.00, 90.00, 90.00 degrees
Space group Cmcm (No. 63)
Inequivalent atoms, fractional coordinates:
Gd  0.000  0.000  0.000 [4 per cell]
Ag  0.000  0.471  0.250 [4 per cell]
Sn  0.000  0.231  0.750 [4 per cell]
Se  0.000  0.104  0.250 [4 per cell]
S  0.000  0.362  0.060 [8 per cell]

***

The following is a calculated powder X-ray diffraction pattern of Sc2NbFe. It was derived from DFT lattice parameters and positions (PBE), using copper Kα.